The reader should restate only the last part of the listing further below, starting with the line that has "2.14 -1.20".

........
1.
Here is one molecule with the formula C2H2N4S in a non-equilibrium geometry from the Open Molecules 2025 dataset. Energies are from ωB97M-V/def2-TZVPD.

The geometry in XYZ format:
```
9
Properties=species:S:1:pos:R:3
S 0.17 2.66 -0.91
C -0.09 1.12 -0.40
N -1.30 0.44 -0.63
N -1.40 -0.76 -0.28
C -0.35 -1.41 0.32
N 0.79 -0.86 0.59
N 0.87 0.42 0.31
H -0.47 -2.49 0.54
H 1.79 0.88 0.47
```

SMILES string ... S=c1nncn[nH]1
E_HOMO ... -9.10 eV
E ... -694.538652 hartree
Multiplicity ... 1
Total charge ... 0



2.
Here is a 2-piece molecular cluster, C2H2N4S overall in a non-equilibrium geometry from the Open Molecules 2025 dataset. Energies are from ωB97M-V/def2-TZVPD.

The geometry in XYZ format:
```
9
Properties=species:S:1:pos:R:3
H 2.69 2.40 0.25
N 2.05 1.61 0.36
N 0.91 1.96 -0.03
N -0.04 1.09 0.05
C -1.22 0.90 -0.14
S -2.70 0.45 -0.27
C -0.54 -2.80 -0.09
N -1.47 -2.42 0.46
H 0.31 -3.19 -0.59
```

SMILES string ... [H]/N=N/N=C=S.C#N
E_HOMO ... -9.09 eV
E ... -694.499397 hartree
Multiplicity ... 1
Total charge ... 0



3.
Here is one molecule with the formula C2H2NO2P in a non-equilibrium geometry from the Open Molecules 2025 dataset. Energies are from ωB97M-V/def2-TZVPD.

The geometry in XYZ format:
```
8
Properties=species:S:1:pos:R:3
O 2.14 -1.20 0.02
C 1.00 -0.96 0.15
C 0.63 0.41 -0.33
N -0.52 0.79 -0.53
P -2.23 0.49 -0.30
O -2.77 1.01 0.92
H 0.17 -1.46 0.65
H 1.58 0.92 -0.58
```

SMILES string ... O=C/C=N\P=O
E_HOMO ... -9.82 eV
E ... -623.962663 hartree
Multiplicity ... 1
Total charge ... 0



4.
Here is one molecule with the formula C2H2NO2P in a non-equilibrium geometry from the Open Molecules 2025 dataset. Energies are from ωB97M-V/def2-TZVPD.

The geometry in XYZ format:
```
8
Properties=species:S:1:pos:R:3
O 3.92 -0.68 -0.52
P 3.49 0.57 0.22
O 1.97 0.63 0.18
C 1.03 -0.18 -0.53
C 0.11 -0.65 0.48
N 1.04 -1.47 0.08
H 1.01 -0.13 -1.66
H -0.71 -0.09 0.90
```

SMILES string ... O=PO[C@@H]1C=N1
E_HOMO ... -10.08 eV
E ... -623.920613 hartree
Multiplicity ... 1
Total charge ... 0



5.
Here is an isolated ion of composition C2H2NO3 and charge -1 in a non-equilibrium geometry from the Open Molecules 2025 dataset. Energies are from ωB97M-V/def2-TZVPD.

The geometry in XYZ format:
```
8
Properties=species:S:1:pos:R:3
O 0.08 1.21 1.44
C -0.06 1.20 0.24
N 0.04 0.13 -0.59
C 0.05 -1.30 0.12
O 0.73 -1.33 1.11
O -0.43 -2.24 -0.51
H -0.15 2.19 -0.30
H -0.27 0.14 -1.51
```

SMILES string ... O=CNC(=O)[O-]
E_HOMO ... -4.20 eV
E ... -357.964223 hartree
Multiplicity ... 1
Total charge ... -1



6.
Here is a 2-piece molecular cluster, C2H2NO3S overall in a non-equilibrium geometry from the Open Molecules 2025 dataset. Energies are from ωB97M-V/def2-TZVPD.

The geometry in XYZ format:
```
9
Properties=species:S:1:pos:R:3
C -2.66 1.08 -0.20
C -0.16 1.79 -1.15
N 0.75 1.27 -0.37
O -3.20 1.70 -1.00
O 1.08 1.86 0.71
O 1.26 0.18 -0.74
S -2.45 0.21 1.08
H -0.34 2.80 -0.92
H -0.39 1.39 -2.23
```

E_HOMO ... -3.29 eV
E ... -756.009181 hartree
Multiplicity ... 1
Total charge ... -1



7.
Here is a 2-piece molecular cluster, C2H2NO3S overall in a non-equilibrium geometry from the Open Molecules 2025 dataset. Energies are from ωB97M-V/def2-TZVPD.

The geometry in XYZ format:
```
9
Properties=species:S:1:pos:R:3
C -2.07 -0.45 -0.49
C -1.06 0.31 0.28
N 2.88 -0.36 -0.02
O -2.60 -0.62 -1.52
O 2.01 0.50 -0.24
O 4.08 -0.08 -0.16
S -2.04 -1.01 1.19
H 0.06 0.31 0.30
H -1.25 1.40 0.66
```

E_HOMO ... -3.08 eV
E ... -755.998513 hartree
Multiplicity ... 1
Total charge ... -1



8.
Here is C2H2NdO4 as an isolated structure in a non-equilibrium geometry from the Open Molecules 2025 dataset. Energies are from ωB97M-V/def2-TZVPD.

The geometry in XYZ format:
```
9
Properties=species:S:1:pos:R:3
O -2.74 1.23 0.25
C -2.10 0.30 0.62
O -2.18 -0.70 1.27
O 0.18 0.56 -0.36
C 1.02 -0.56 -0.08
O 2.27 -0.36 -0.63
Nd 1.92 1.69 -1.61
H 0.54 -1.48 -0.47
H 1.09 -0.68 1.03
```

E_HOMO (spin up / spin down) ... -7.53 / -7.91 eV
E ... -939.722827 hartree
Multiplicity ... 5
........

O 2.14 -1.20 0.02
C 1.00 -0.96 0.15
C 0.63 0.41 -0.33
N -0.52 0.79 -0.53
P -2.23 0.49 -0.30
O -2.77 1.01 0.92
H 0.17 -1.46 0.65
H 1.58 0.92 -0.58
```

SMILES string ... O=C/C=N\P=O
E_HOMO ... -9.82 eV
E ... -623.962663 hartree
Multiplicity ... 1
Total charge ... 0



4.
Here is one molecule with the formula C2H2NO2P in a non-equilibrium geometry from the Open Molecules 2025 dataset. Energies are from ωB97M-V/def2-TZVPD.

The geometry in XYZ format:
```
8
Properties=species:S:1:pos:R:3
O 3.92 -0.68 -0.52
P 3.49 0.57 0.22
O 1.97 0.63 0.18
C 1.03 -0.18 -0.53
C 0.11 -0.65 0.48
N 1.04 -1.47 0.08
H 1.01 -0.13 -1.66
H -0.71 -0.09 0.90
```

SMILES string ... O=PO[C@@H]1C=N1
E_HOMO ... -10.08 eV
E ... -623.920613 hartree
Multiplicity ... 1
Total charge ... 0



5.
Here is an isolated ion of composition C2H2NO3 and charge -1 in a non-equilibrium geometry from the Open Molecules 2025 dataset. Energies are from ωB97M-V/def2-TZVPD.

The geometry in XYZ format:
```
8
Properties=species:S:1:pos:R:3
O 0.08 1.21 1.44
C -0.06 1.20 0.24
N 0.04 0.13 -0.59
C 0.05 -1.30 0.12
O 0.73 -1.33 1.11
O -0.43 -2.24 -0.51
H -0.15 2.19 -0.30
H -0.27 0.14 -1.51
```

SMILES string ... O=CNC(=O)[O-]
E_HOMO ... -4.20 eV
E ... -357.964223 hartree
Multiplicity ... 1
Total charge ... -1



6.
Here is a 2-piece molecular cluster, C2H2NO3S overall in a non-equilibrium geometry from the Open Molecules 2025 dataset. Energies are from ωB97M-V/def2-TZVPD.

The geometry in XYZ format:
```
9
Properties=species:S:1:pos:R:3
C -2.66 1.08 -0.20
C -0.16 1.79 -1.15
N 0.75 1.27 -0.37
O -3.20 1.70 -1.00
O 1.08 1.86 0.71
O 1.26 0.18 -0.74
S -2.45 0.21 1.08
H -0.34 2.80 -0.92
H -0.39 1.39 -2.23
```

E_HOMO ... -3.29 eV
E ... -756.009181 hartree
Multiplicity ... 1
Total charge ... -1



7.
Here is a 2-piece molecular cluster, C2H2NO3S overall in a non-equilibrium geometry from the Open Molecules 2025 dataset. Energies are from ωB97M-V/def2-TZVPD.

The geometry in XYZ format:
```
9
Properties=species:S:1:pos:R:3
C -2.07 -0.45 -0.49
C -1.06 0.31 0.28
N 2.88 -0.36 -0.02
O -2.60 -0.62 -1.52
O 2.01 0.50 -0.24
O 4.08 -0.08 -0.16
S -2.04 -1.01 1.19
H 0.06 0.31 0.30
H -1.25 1.40 0.66
```

E_HOMO ... -3.08 eV
E ... -755.998513 hartree
Multiplicity ... 1
Total charge ... -1



8.
Here is C2H2NdO4 as an isolated structure in a non-equilibrium geometry from the Open Molecules 2025 dataset. Energies are from ωB97M-V/def2-TZVPD.

The geometry in XYZ format:
```
9
Properties=species:S:1:pos:R:3
O -2.74 1.23 0.25
C -2.10 0.30 0.62
O -2.18 -0.70 1.27
O 0.18 0.56 -0.36
C 1.02 -0.56 -0.08
O 2.27 -0.36 -0.63
Nd 1.92 1.69 -1.61
H 0.54 -1.48 -0.47
H 1.09 -0.68 1.03
```

E_HOMO (spin up / spin down) ... -7.53 / -7.91 eV
E ... -939.722827 hartree
Multiplicity ... 5